== Assignment ==
Write out only the last part of the material underneath, starting with the line that has "LaSbO4 (meta-GGA".

== Data ==
........
Record 1
## LaSb3O9 (meta-GGA r2SCAN)

Data for crystalline LaSb3O9 at its relaxed geometry.

## Properties
E_form ... -2064 meV/atom
Magnetization ... 0.00 μB per cell

Cell: 5.520 5.520 11.810 Å, 90.00 90.00 107.19°
Element x y z (fractional)
La: 0.755 0.245 0.750
La: 0.245 0.755 0.250
Sb: 0.122 0.878 0.908
Sb: 0.878 0.122 0.408
Sb: 0.878 0.122 0.092
Sb: 0.122 0.878 0.592
Sb: 0.500 0.500 0.000
Sb: 0.500 0.500 0.500
O: 0.940 0.060 0.250
O: 0.060 0.940 0.750
O: 0.104 0.896 0.074
O: 0.896 0.104 0.574
O: 0.896 0.104 0.926
O: 0.104 0.896 0.426
O: 0.337 0.663 0.884
O: 0.663 0.337 0.384
O: 0.417 0.192 0.598
O: 0.583 0.808 0.098
O: 0.192 0.417 0.402
O: 0.808 0.583 0.902
O: 0.583 0.808 0.402
O: 0.417 0.192 0.902
O: 0.808 0.583 0.598
O: 0.192 0.417 0.098
O: 0.337 0.663 0.616
O: 0.663 0.337 0.116

---

Record 2
## LaSbO4 (meta-GGA r2SCAN)

Data for crystalline LaSbO4 at its relaxed geometry.

## Properties
E_form ... -2631 meV/atom
Magnetization ... 0.00 μB per cell

Cell: 5.086 5.411 13.623 Å, 70.74 90.00 90.00°
Element x y z (fractional)
La: 0.803 0.655 0.336
La: 0.697 0.655 0.836
La: 0.197 0.345 0.664
La: 0.303 0.345 0.164
Sb: 0.751 0.918 0.069
Sb: 0.749 0.918 0.569
Sb: 0.249 0.082 0.931
Sb: 0.251 0.082 0.431
O: 0.436 0.756 0.027
O: 0.064 0.756 0.527
O: 0.564 0.244 0.973
O: 0.936 0.244 0.473
O: 0.602 0.992 0.187
O: 0.898 0.992 0.687
O: 0.398 0.008 0.813
O: 0.102 0.008 0.313
O: 0.072 0.136 0.056
O: 0.428 0.136 0.556
O: 0.928 0.864 0.944
O: 0.572 0.864 0.444
O: 0.876 0.586 0.167
O: 0.624 0.586 0.667
O: 0.124 0.414 0.833
O: 0.376 0.414 0.333

---

Record 3
## La2Se3O9 (meta-GGA r2SCAN)

Data for crystalline La2Se3O9 at its relaxed geometry.

## Properties
E_form ... -2067 meV/atom
Magnetization ... 0.00 μB per cell

Cell: 7.092 8.476 14.297 Å, 90.00 90.00 90.00°
Element x y z (fractional)
La: 0.180 0.301 0.064
La: 0.680 0.199 0.936
La: 0.320 0.801 0.436
La: 0.820 0.699 0.564
La: 0.820 0.699 0.936
La: 0.320 0.801 0.064
La: 0.680 0.199 0.564
La: 0.180 0.301 0.436
Se: 0.181 0.048 0.875
Se: 0.681 0.452 0.125
Se: 0.319 0.548 0.625
Se: 0.819 0.952 0.375
Se: 0.592 0.956 0.750
Se: 0.092 0.544 0.250
Se: 0.908 0.456 0.750
Se: 0.408 0.044 0.250
Se: 0.819 0.952 0.125
Se: 0.319 0.548 0.875
Se: 0.681 0.452 0.375
Se: 0.181 0.048 0.625
O: 0.739 0.943 0.845
O: 0.239 0.557 0.155
O: 0.761 0.443 0.655
O: 0.261 0.057 0.345
O: 0.261 0.057 0.155
O: 0.761 0.443 0.845
O: 0.239 0.557 0.345
O: 0.739 0.943 0.655
O: 0.433 0.844 0.250
O: 0.933 0.656 0.750
O: 0.067 0.344 0.250
O: 0.567 0.156 0.750
O: 0.089 0.883 0.923
O: 0.589 0.617 0.077
O: 0.411 0.383 0.577
O: 0.911 0.117 0.423
O: 0.032 0.199 0.597
O: 0.532 0.301 0.403
O: 0.468 0.699 0.903
O: 0.968 0.801 0.097
O: 0.968 0.801 0.403
O: 0.468 0.699 0.597
O: 0.532 0.301 0.097
O: 0.032 0.199 0.903
O: 0.351 0.074 0.540
O: 0.851 0.426 0.460
O: 0.149 0.574 0.960
O: 0.649 0.926 0.040
O: 0.649 0.926 0.460
O: 0.149 0.574 0.540
O: 0.851 0.426 0.040
O: 0.351 0.074 0.960
O: 0.089 0.883 0.577
O: 0.589 0.617 0.423
O: 0.411 0.383 0.923
O: 0.911 0.117 0.077
........

== Worked solution ==
## LaSbO4 (meta-GGA r2SCAN)

Data for crystalline LaSbO4 at its relaxed geometry.

## Properties
E_form ... -2631 meV/atom
Magnetization ... 0.00 μB per cell

Cell: 5.086 5.411 13.623 Å, 70.74 90.00 90.00°
Element x y z (fractional)
La: 0.803 0.655 0.336
La: 0.697 0.655 0.836
La: 0.197 0.345 0.664
La: 0.303 0.345 0.164
Sb: 0.751 0.918 0.069
Sb: 0.749 0.918 0.569
Sb: 0.249 0.082 0.931
Sb: 0.251 0.082 0.431
O: 0.436 0.756 0.027
O: 0.064 0.756 0.527
O: 0.564 0.244 0.973
O: 0.936 0.244 0.473
O: 0.602 0.992 0.187
O: 0.898 0.992 0.687
O: 0.398 0.008 0.813
O: 0.102 0.008 0.313
O: 0.072 0.136 0.056
O: 0.428 0.136 0.556
O: 0.928 0.864 0.944
O: 0.572 0.864 0.444
O: 0.876 0.586 0.167
O: 0.624 0.586 0.667
O: 0.124 0.414 0.833
O: 0.376 0.414 0.333

---

Record 3
## La2Se3O9 (meta-GGA r2SCAN)

Data for crystalline La2Se3O9 at its relaxed geometry.

## Properties
E_form ... -2067 meV/atom
Magnetization ... 0.00 μB per cell

Cell: 7.092 8.476 14.297 Å, 90.00 90.00 90.00°
Element x y z (fractional)
La: 0.180 0.301 0.064
La: 0.680 0.199 0.936
La: 0.320 0.801 0.436
La: 0.820 0.699 0.564
La: 0.820 0.699 0.936
La: 0.320 0.801 0.064
La: 0.680 0.199 0.564
La: 0.180 0.301 0.436
Se: 0.181 0.048 0.875
Se: 0.681 0.452 0.125
Se: 0.319 0.548 0.625
Se: 0.819 0.952 0.375
Se: 0.592 0.956 0.750
Se: 0.092 0.544 0.250
Se: 0.908 0.456 0.750
Se: 0.408 0.044 0.250
Se: 0.819 0.952 0.125
Se: 0.319 0.548 0.875
Se: 0.681 0.452 0.375
Se: 0.181 0.048 0.625
O: 0.739 0.943 0.845
O: 0.239 0.557 0.155
O: 0.761 0.443 0.655
O: 0.261 0.057 0.345
O: 0.261 0.057 0.155
O: 0.761 0.443 0.845
O: 0.239 0.557 0.345
O: 0.739 0.943 0.655
O: 0.433 0.844 0.250
O: 0.933 0.656 0.750
O: 0.067 0.344 0.250
O: 0.567 0.156 0.750
O: 0.089 0.883 0.923
O: 0.589 0.617 0.077
O: 0.411 0.383 0.577
O: 0.911 0.117 0.423
O: 0.032 0.199 0.597
O: 0.532 0.301 0.403
O: 0.468 0.699 0.903
O: 0.968 0.801 0.097
O: 0.968 0.801 0.403
O: 0.468 0.699 0.597
O: 0.532 0.301 0.097
O: 0.032 0.199 0.903
O: 0.351 0.074 0.540
O: 0.851 0.426 0.460
O: 0.149 0.574 0.960
O: 0.649 0.926 0.040
O: 0.649 0.926 0.460
O: 0.149 0.574 0.540
O: 0.851 0.426 0.040
O: 0.351 0.074 0.960
O: 0.089 0.883 0.577
O: 0.589 0.617 0.423
O: 0.411 0.383 0.923
O: 0.911 0.117 0.077